Being Ireland’s fittest family: how did they do that?

The Cummins family from Tipperary ran, climbed and ‘bog jogged’ to bag the 2016 title

Ireland’s Fittest Family 2016: The Cummins family from Tipperary.

"Gruelling" hardly describes the challenges set in the televised search for Ireland's Fittest Family. The RTÉ series tests all-round physical and mental strength in a way that few sports do.

Anybody who watched the final of the fourth series last month could not have but been moved by the agonising failures of the exhausted father, Jim Cummins, to scale the last obstacle in the competition, a near-vertical 4.3m-high ramp. Finally, his three adult children who were already at the top were able to reach down, grab him and haul him up to victory, beating the McCarthys from Co Clare.

The Cummins family are planning to use the winner-takes-all €15,000 prize money for a holiday. They are not, however, ones for lounging around a pool – their trip will revolve around watersports or some other type of activity, as that’s what they do on family holidays.

Even when the cameras are long gone they will be living up to their title. So what does it take to slog it out over five rounds of competition, filmed over eight weeks, and be acclaimed as Ireland’s fittest family?


We caught up with the Cummins family on their farm in Rahealty, outside Thurles, Co Tipperary to profile each of the four team members, to find out the secrets of their success and to hear their advice for other families who might fancy their chances in the 2017 competition.

Inserted here: molecular data:
/*
The following is a quantum chemistry calculation of a molecular structure, C6H5ClFNO2S, from the Open Molecules 2025 dataset.

The geometry in ORCA input format:
```
! wB97M-V def2-TZVPD RIJCOSX def2/J DEFGRID3
* xyz 0 1
C -0.6599 -0.5421 1.4117
C -0.6775 -1.5854 0.5750
C -0.4058 0.8150 0.8615
C -0.5341 -1.3589 -0.8500
C -0.8016 0.8909 -0.5819
C -1.3020 2.0066 -1.1266
N -0.6478 -0.2101 -1.3972
O 2.3483 -1.2979 -1.0394
O 3.8857 -0.8630 0.7985
F -1.4965 3.1213 -0.4183
S 3.2506 -0.3766 -0.3982
Cl 1.4212 1.1127 0.9835
H -0.7674 -0.6445 2.4806
H -0.8207 -2.5943 0.9271
H -0.8395 1.6252 1.4478
H -0.3758 -2.1999 -1.5077
H -1.5772 2.1011 -2.1664
*
```

relative energy (zero: lowest compared OMol25 entry of this formula, charge and spin) = 0.0 kcal per mole
HOMO energy (alpha / beta) = -0.3358 / -0.3358 Eh
HOMO-LUMO gap (alpha / beta) = 0.30603 / 0.30602 hartree

Charges in e, computed with Mulliken, in the same order as the atoms:
1. C -0.690
2. C -0.187
3. C 0.076
4. C -0.248
5. C 0.148
6. C -0.146
7. N -0.531
8. O -0.359
9. O -0.397
10. F -0.249
11. S 0.681
12. Cl -0.222
13. H 0.421
14. H 0.403
15. H 0.451
16. H 0.418
17. H 0.431
*/

Ciara Cummins (19)

Occupation: Student of athletic training and therapy in Dublin City University.

Main sport: Middle-distance running, mostly 1,500m, cross-country and steeplechase.

The youngest of five children, Ciara was the one who entered the family in the competition without telling anybody.

“We had watched loads of different series and always enjoyed it and I thought it would be a bit of fun to enter,” she says. “I saw an ad and thought, why watch it again this year when we could be in it?”

She had to write an essay about her family on the application form and was interviewed be telephone before they were called for a fitness test. The top 12 families were selected for the show, which is coproduced for RTÉ by Kite Entertainment and Animo TV

While there are seven in the Cummins family and all take part in different sports, there was never any doubt which four would be competing. Ciara is the sportiest of the three sisters and they knew it would be an advantage to have three males making up the team. But the others – mother Patricia and sisters Jennifer and Edel – all played their part when it came to training and logistics. Ciara regrets they were kept off camera and not allowed to attend the events.

“Especially Mam, she was the backbone of the whole thing and nobody ever saw her. She would be the one who had to wash all our clothes and get our bags ready before we went – a typical Irish mammy.”

There was only about three weeks between knowing they had been accepted and the first round, so that didn’t leave a lot of time for training. And anyway, they could only guess what might lie ahead.

“They [the production company] were always very secretive about things and they wouldn’t tell us where the challenges were on until about two days before,” Ciara explains. “They didn’t want us to find out what the challenge would be.”

The Cummins were delighted to just get through the first round and then be assigned their coach, former Cork All Star camogie captain, Anna Geary. Then they started focusing on teamwork, practising clambering over a container on the farm and pulling heavy loads.

“Really we just worked on our weaknesses,” she says. “I was trying to do a lot of pull-ups at home. Mark is good at that so he was trying to help me and I was making Henry go on runs with me – improving his endurance.”

No changes were required to their diets because they generally eat fairly healthily, says Ciara.

“We would always have a good three meals in the day. At dinner time we always sit around together – it wouldn’t be just getting whatever you want whenever. We would always have our spuds.”

The hardest part of the competition? “Definitely for me it was the day we were in Cahir and I had to do the female race. I was absolutely wrecked. I had to pull this sleigh with three straw bales on it. It was so heavy and it was moving inches. I could just hear Anna, my Dad and my two brothers shouting me on and if it wasn’t for them I don’t know if I would have ever finished it.”

The best bit? “Spending time with your family. I think we bonded – it wasn’t just the four of us, it all was all seven of us. You can win things with the team or on your own individually but it was special to do it as a family.”

Advice to other families? “Work on teamwork – it is a lot to do with strategy.” Nearly all 12 families are fit as each other, Ciara adds, so it is “how you undertake the task and work your head to do it the most efficient way possible” that makes the difference.

Jim Cummins (57)

Occupation: Tillage farmer.

Main sports: Running and cycling.

It’s great for fitness to have a physically active job, Jim acknowledges, but a downside was that the filming of the series during the summer coincided with the busiest time on the farm.

Another bonus is that his sons Henry and Mark help him on the farm, as well as running their own motor repairs and tyre business, which means they are used to working together.

“We could read each other’s minds. We are just so used to one another and that was a major help.”

The family has always participated in sport as well and do local 5km runs together. He and his wife Patricia are keen cyclists who have done the Ring of Kerry charity cycle several times.

As parents, one or other of them always tried to be on the sidelines when any of their children were taking part in sport, be it in hockey, camogie, athletics or rugby.

Their training for this competition didn’t involve anything out of the ordinary, he says, because “we were afraid of getting injured. We did a bit of swimming, running and hill running; we did hang on the bar on and off but we didn’t want to do it too much.”

The hardest part of the competition? “The tyre pull in the quarry in Tipperary. We nearly hurt ourselves that was so hard – we didn’t expect it to be as hard as it was. We did a bad job on it first time and we changed our mind and had to do it differently halfway through.”

He also mentions the Jacob’s Ladder in the semi-final. “That was very, very physical, to pull yourself at speed up that height.” What’s more, he is afraid of heights.

“All those competitions are fine but when you have to do them at speed, if you make a mistake you are gone.”

What about that last ramp in the final? Did it cross his mind he might not be able to do it? “No, I was going to get there somehow. I would never live it down if I didn’t.”

The best bit? “It was great the way we worked together as a team. I must admire the kids for the way they discussed everything, no arguments”.

Advice to others? “It is harder than you think. You have to be cross-fit and really able to work together. We had a good coach in Anna Geary – her plans were excellent.”

Mark Cummins (24)

Occupation: Mechanic

Main sport: Rugby, he plays for Thurles RFC

By the time they knew they were in the competition, it was probably too late, says Mark, to do fitness training. But working in a physical job, playing rugby, running and bit of horseriding keep him in good shape.

“It was more strategy and how to get on together that we really worked at.” Containers had come up in previous competitions and “you are not going to be jumping up them on your own,” he points out. But the true foundation of their success, he believes, was how their mother spent so much time taking the five of them to sports as children.

“That is really what made the difference. It wasn’t the month’s training before it, but years and years of hard work is what actually got us there.”

The fact that the competition clashed with harvesting meant they had to work really hard to fit it in, he points out. The night before the round in Cahir, he, Jim and Henry were working until 2.30am.

“It probably impacted our performance because we didn’t go that well at the tyres,” he says. Ciara, who had been sent to bed, “really pulled it out of the bag for us that day. It was the women’s run that day and she did really well in that.”

The hardest part of the competition? “A lot of things were hard. The ramp [at the end of the final] I suppose was the hardest and the most important thing you had to complete. If you can’t get up that quick enough, it will decide whether you win or lose.”

He went up first and made it at the second attempt. “Once I got up I was very relieved; I knew I could lean down and catch Henry and he would be well able to get up. After that the two of us would be able to pull everyone up.

“To get Dad up was very difficult because he was so tired at that stage. We were getting nervous ourselves. We struggled to get him up but we still managed it.”

The best bit? “Just getting on together” – and he stresses that he means all seven in the family, not just the four of them who were filmed. Nothing, he adds, beats doing something that you love together as a family.

Advice to others? “I would encourage any family to do it. You wouldn’t realise what you are capable of until you go and do it.”

Henry Cummins (26)

Occupation: Mechanic

Main sport: Horseriding

Henry’s first reaction when he heard Ciara had entered them was how much time they would have to put into it, considering it was harvesting season. He acknowledges that his youngest sister was probably the leader to get them out training but “when it came to events, everything was discussed between the four of us with Anna [Geary, the coach]”. And he also says there were no rows: “Funnily enough we all got on well together!”

The hardest part of the competition? “I think the most difficult part was the final itself. It was very draining after the pull of the loaded trailer and then to get over the containers. We were all killed by the time we got to the ramp.”

The next most difficult thing was having to keep quiet about the results between the end of filming in August and the screening of the final on December 18th. He also found it “embarrassing” watching it all back.

The best bit? “Being able to get out and do the challenges but the winning at the end was the biggest enjoyment. To stand at the top of that ramp and say we have the title of the fittest family of Ireland. It means a lot.”

Advice to others? “Go in with everything you’ve got. It’s very enjoyable.”

Kite Entertainment and Animo TV hope to do a call-out over the coming months for those interested in taking part in a potential fifth series of Ireland's Fittest Family.

What it takes to be Ireland’s fittest family

Generic fitness is what the TV series Ireland's Fittest Family measures, according to the designer of the events, Joe O'Connor.

“If we make it sports specific it is not fair,” he explains, listing the components of fitness. For health, the main elements are cardiovascular endurance, muscular endurance, muscular strength and flexibility, while the performance-related ones are speed, agility, balance and co-ordination.

A fitness consultant and lecturer in exercise physiology at the Institute of Technology in Tralee, Co Kerry, O’Connor also stresses a key element in winning the show is working together.

“We have had families who are very good, individual fit people but they ruined each other by trying to be that.” Whereas this year’s winners, the Cummins family, “had utmost respect for each other”.

If he was one of the coaches picking a family to work with, he says, he would look at how strong the weakest member is and how the rest of the team protects that member.

A lot of families who come forward are sports people who compete in a very contained environment, so it is easy for them to look at an element and perfect it, he suggests. It is the unpredictability of this competition that often throws them.

He gives the example of the “bog jog” in which they were up to their armpits in mud. When, in the semi-final, the teams were surprised to have to select a second member to compete in a re-run of this event, the Cummins family made the tactical decision to “sacrifice” Ciara to this, so that the other three could save their energy for the Jacob’s Ladder event that followed.

Considering the balance of fitness that is required, it is no coincidence that over the years all the winning families have come from a farming background or are farmers.

“Fitness is very much applied fitness,” says O’Connor. “They are not necessarily gym bunnies but are used to grabbing a cow to put in a trailer.”

The series shows you can have fun in the outdoors without participating in a structured sport and that a family going regularly to the woods or park can become fit. Parents need to understand that sport can often exclude kids and lead to an inactive lifestyle, says O’Connor. Not being picked by peers for a football team at age five or six can lead to an inactive lifestyle that can lead to heart disease, he points out. “Just because they weren’t good at sport, their whole life was compromised.”

To counteract the sedentary nature of our lifestyles, he encourages parents to follow the lead of children and get down on the floor to play and roll around with them.

“One of the major problems in society, if you are talking about hip pain or back pain, is the ergonomics of sitting at your desk all day. We just don’t move the joints the way they are designed to.”

O’Connor works in high-performance sport and gets Olympians and inter-county footballers and hurlers to crawl and roll. If a senior international athlete can’t do that, they are more prone to injuries, he explains, which is why they use tunnels in training.

“You have to be really mobile to get into that tunnel and crawl and roll.”

He would like all children to take part in gymnastics and athletics – not for competition but for the fun of it.

“Fitness isn’t sport,” he adds. “It definitely helps sport but sport can inhibit fitness.”